_File_
********
[1]
Entry from the Open Molecules 2025 dataset: a cluster of 4 separate species, C44H81ClN4O18P3 in total at a distorted geometry (ωB97M-V/def2-TZVPD).

Positions of all 151 atoms, in Å:
C 3.2597 -0.3630 -0.9089
C 3.8841 0.5383 -1.9840
O 4.3636 1.5901 -1.6726
O 3.8952 0.1125 -3.3077
C 3.0002 0.9758 -4.0456
C 2.6081 0.3393 -5.4158
C 1.1144 0.6681 -5.6986
C 0.3546 -0.2703 -6.6971
C 0.9262 -1.6867 -6.9165
C 0.8637 -2.6633 -5.7240
C -0.5371 -3.1436 -5.2214
C -1.3257 -3.5631 -6.5440
C -2.2422 -2.5043 -7.1592
O -2.0274 -1.7539 -8.0374
Cl -3.9534 -2.4940 -6.4709
C -0.3070 -4.5882 -4.6080
C 0.6957 -4.8157 -3.4278
C 2.1984 -4.7247 -3.7023
C 2.9194 -5.3751 -4.7046
C 4.2990 -5.2538 -4.8656
C 5.0398 -4.4623 -3.9899
C 4.3474 -3.8184 -2.9615
C 2.9671 -3.9351 -2.8257
N 0.0236 -5.6446 -5.5575
C -0.6024 -6.6895 -5.4061
O -1.2924 -7.6095 -5.1874
N -1.6362 -4.6818 -3.8994
C -2.2444 -3.5689 -3.6735
C -3.6032 -3.5546 -2.9993
C -3.8529 -2.3746 -2.0193
C -4.9146 -2.8541 -0.9674
N -6.1159 -2.0849 -0.7514
O -4.7422 -3.8652 -0.3529
C -1.3344 -2.3663 -4.1599
O -2.0023 -1.1938 -4.5606
C -0.6920 -1.9351 -2.7563
N 0.6296 -1.3650 -2.7835
H 3.7482 -0.2630 0.0658
H 2.1712 -0.2025 -0.8229
H 3.3688 -1.3957 -1.2979
H 3.4623 1.9623 -4.2262
H 2.0974 1.1464 -3.4266
H 2.8562 -0.7306 -5.3717
H 3.2045 0.8400 -6.1949
H 1.0969 1.6800 -6.1446
H 0.4965 0.7698 -4.7829
H -0.7114 -0.2637 -6.4093
H 0.3668 0.2307 -7.6843
H 1.9995 -1.5668 -7.1638
H 0.4956 -2.0788 -7.8553
H 1.4032 -3.5759 -6.0445
H 1.5067 -2.2501 -4.9315
H -0.5957 -3.8900 -7.2948
H -1.9900 -4.4278 -6.3678
H 0.5021 -4.2060 -2.5296
H 0.5127 -5.8550 -3.0749
H 2.4066 -6.0352 -5.4063
H 4.8032 -5.7896 -5.6736
H 6.1207 -4.3247 -4.0760
H 4.9276 -3.2174 -2.2561
H 2.5335 -3.4004 -1.9726
H -2.1452 -5.5025 -3.5692
H -3.7099 -4.5182 -2.4620
H -4.3820 -3.5395 -3.7811
H -2.9759 -2.0670 -1.4370
H -4.3137 -1.5474 -2.5865
H -6.6903 -2.0720 -1.5951
H -5.8260 -1.1148 -0.5996
H -2.7833 -1.0500 -4.0133
H -0.8049 -2.7576 -2.0213
H -1.3592 -1.1456 -2.3618
H 0.8349 -0.8360 -3.6197
H 1.3679 -2.0038 -2.5283
O -6.4157 2.2446 0.9830
P -7.5165 2.8736 1.7882
O -6.7515 3.2277 3.1871
C -5.8144 4.3083 3.2056
C -6.5232 5.6445 3.3320
O -8.2974 1.4932 2.2511
C -8.2432 0.3282 1.4322
C -7.2562 -0.6692 1.9995
O -8.8511 3.7416 2.2484
C -9.9648 3.8169 1.3256
C -11.0151 2.7707 1.6514
H -5.1861 4.2837 2.3098
H -5.1668 4.1570 4.0693
H -7.1074 5.8620 2.4349
H -5.8027 6.4509 3.4760
H -7.2176 5.6329 4.1724
H -8.0066 0.5839 0.3975
H -9.2437 -0.1135 1.4307
H -6.2631 -0.2302 2.1141
H -7.1777 -1.5450 1.3572
H -7.5722 -0.9933 2.9923
H -9.6182 3.7187 0.2940
H -10.3965 4.8115 1.4374
H -10.7256 1.7920 1.2701
H -11.9693 3.0312 1.1910
H -11.1488 2.6723 2.7283
O 6.3708 -1.4805 2.0542
P 7.0886 -1.0243 3.3043
O 8.2461 -0.1613 2.5064
C 7.8949 1.0962 1.9312
C 7.8872 2.2024 2.9725
O 7.9705 -2.3965 3.5604
C 7.4229 -3.6812 3.2610
C 7.9805 -4.2031 1.9535
O 7.7447 -0.3880 4.6993
C 7.1557 -0.7708 5.9664
C 7.9189 -1.9217 6.5965
H 6.9228 1.0255 1.4321
H 8.6427 1.3152 1.1684
H 7.0823 2.0515 3.6959
H 7.7453 3.1760 2.5004
H 8.8234 2.2110 3.5309
H 6.3325 -3.6541 3.2483
H 7.7164 -4.3520 4.0733
H 7.7953 -3.5063 1.1354
H 7.5354 -5.1672 1.6994
H 9.0623 -4.3266 2.0250
H 6.0993 -1.0211 5.8413
H 7.2150 0.1028 6.6160
H 7.6392 -2.8724 6.1437
H 7.6963 -1.9897 7.6624
H 8.9931 -1.8008 6.4590
O -1.9948 6.2430 4.7023
P -0.8797 5.2982 5.0627
O -1.5805 4.7302 6.4481
C -2.6676 3.8223 6.3456
C -2.1755 2.4073 6.0898
O 0.1334 6.3972 5.7625
C 0.2124 7.7354 5.2644
C -0.5664 8.6795 6.1553
O 0.3008 4.1409 5.3073
C 1.3812 4.0619 4.3487
C 2.5936 4.8402 4.8278
H -3.3569 4.1425 5.5575
H -3.2083 3.8562 7.2921
H -1.7119 2.3285 5.1034
H -3.0018 1.6958 6.1379
H -1.4197 2.1255 6.8234
H -0.1252 7.7932 4.2289
H 1.2689 8.0183 5.2725
H -1.6064 8.3675 6.2535
H -0.5427 9.6957 5.7578
H -0.1424 8.6883 7.1608
H 1.0528 4.4116 3.3667
H 1.6411 3.0064 4.2557
H 2.4705 5.9074 4.6480
H 3.4896 4.5202 4.2929
H 2.7455 4.7075 5.8988

Atoms 1-3, force components in eV/Å:
0.0244 -1.0884 -1.3569
0.4677 0.4999 1.1539
-0.0939 0.0160 -0.3506
********
_Exercise_
Now repeat the lines above up to the one that holds "-2.9759 -2.0670", that line included.
_Outcome_
[1]
Entry from the Open Molecules 2025 dataset: a cluster of 4 separate species, C44H81ClN4O18P3 in total at a distorted geometry (ωB97M-V/def2-TZVPD).

Positions of all 151 atoms, in Å:
C 3.2597 -0.3630 -0.9089
C 3.8841 0.5383 -1.9840
O 4.3636 1.5901 -1.6726
O 3.8952 0.1125 -3.3077
C 3.0002 0.9758 -4.0456
C 2.6081 0.3393 -5.4158
C 1.1144 0.6681 -5.6986
C 0.3546 -0.2703 -6.6971
C 0.9262 -1.6867 -6.9165
C 0.8637 -2.6633 -5.7240
C -0.5371 -3.1436 -5.2214
C -1.3257 -3.5631 -6.5440
C -2.2422 -2.5043 -7.1592
O -2.0274 -1.7539 -8.0374
Cl -3.9534 -2.4940 -6.4709
C -0.3070 -4.5882 -4.6080
C 0.6957 -4.8157 -3.4278
C 2.1984 -4.7247 -3.7023
C 2.9194 -5.3751 -4.7046
C 4.2990 -5.2538 -4.8656
C 5.0398 -4.4623 -3.9899
C 4.3474 -3.8184 -2.9615
C 2.9671 -3.9351 -2.8257
N 0.0236 -5.6446 -5.5575
C -0.6024 -6.6895 -5.4061
O -1.2924 -7.6095 -5.1874
N -1.6362 -4.6818 -3.8994
C -2.2444 -3.5689 -3.6735
C -3.6032 -3.5546 -2.9993
C -3.8529 -2.3746 -2.0193
C -4.9146 -2.8541 -0.9674
N -6.1159 -2.0849 -0.7514
O -4.7422 -3.8652 -0.3529
C -1.3344 -2.3663 -4.1599
O -2.0023 -1.1938 -4.5606
C -0.6920 -1.9351 -2.7563
N 0.6296 -1.3650 -2.7835
H 3.7482 -0.2630 0.0658
H 2.1712 -0.2025 -0.8229
H 3.3688 -1.3957 -1.2979
H 3.4623 1.9623 -4.2262
H 2.0974 1.1464 -3.4266
H 2.8562 -0.7306 -5.3717
H 3.2045 0.8400 -6.1949
H 1.0969 1.6800 -6.1446
H 0.4965 0.7698 -4.7829
H -0.7114 -0.2637 -6.4093
H 0.3668 0.2307 -7.6843
H 1.9995 -1.5668 -7.1638
H 0.4956 -2.0788 -7.8553
H 1.4032 -3.5759 -6.0445
H 1.5067 -2.2501 -4.9315
H -0.5957 -3.8900 -7.2948
H -1.9900 -4.4278 -6.3678
H 0.5021 -4.2060 -2.5296
H 0.5127 -5.8550 -3.0749
H 2.4066 -6.0352 -5.4063
H 4.8032 -5.7896 -5.6736
H 6.1207 -4.3247 -4.0760
H 4.9276 -3.2174 -2.2561
H 2.5335 -3.4004 -1.9726
H -2.1452 -5.5025 -3.5692
H -3.7099 -4.5182 -2.4620
H -4.3820 -3.5395 -3.7811
H -2.9759 -2.0670 -1.4370